Exercise:
Repeat all of the listing below without altering anything.

Contents:
=====
Diffraction record for TbSm2DyEr2. The PXRD pattern is simulated, not measured: it uses a structure optimized by DFT (GGA-PBE) and Cu Kα X-rays.
Peak positions follow from Bragg's law for the DFT cell and can differ from measured ones.

Main lines, low angle first (15 to 90 degrees two-theta):
Position (°2θ), d [Å], Rel. int.
29.11, 3.068, 100
29.96, 2.983, 77
30.39, 2.942, 86
31.42, 2.847, 41
33.02, 2.713, 37
33.99, 2.638, 66
36.02, 2.493, 42
41.31, 2.186, 67

Structural model:
Lattice parameters (Å, degrees): 6.531 17.895 3.382 90.00 90.00 90.00
Space group Pnnm (No. 58)
Unique sites:
Tb 0.000 0.000 0.000 (multiplicity 2)
Sm 0.226 0.186 0.000 (multiplicity 4)
Dy 0.000 0.500 0.000 (multiplicity 2)
Er 0.224 0.354 0.500 (multiplicity 4)


Diffraction record for Pr5Nd2Y12. The PXRD pattern is simulated, not measured: it uses a structure optimized by DFT (GGA-PBE) and Cu Kα X-rays.
Peak positions follow from Bragg's law for the DFT cell and can differ from measured ones.

Main lines, low angle first (15 to 90 degrees two-theta):
Position (°2θ), d [Å], Rel. int.
29.01, 3.078, 58
30.57, 2.925, 100
30.86, 2.898, 82
31.94, 2.802, 87
32.65, 2.743, 44
32.92, 2.721, 49
33.30, 2.690, 43
35.19, 2.550, 42

Structural model:
Lattice parameters (Å, degrees): 12.388 7.223 15.175 90.00 107.28 90.00
Space group C2/m (No. 12)
Unique sites:
Pr 0.000 0.000 0.000 (multiplicity 2)
Pr 0.096 0.500 0.095 (multiplicity 4)
Pr 0.249 0.500 0.500 (multiplicity 4)
Nd 0.000 0.250 0.500 (multiplicity 4)
Y 0.090 0.245 0.287 (multiplicity 8)
Y 0.151 0.500 0.692 (multiplicity 4)
Y 0.156 0.000 0.697 (multiplicity 4)
Y 0.171 0.261 0.891 (multiplicity 8)


Diffraction record for La4AsSe2N2. The PXRD pattern is simulated, not measured: it uses a structure optimized by DFT (GGA-PBE) and Cu Kα X-rays.
Peak positions follow from Bragg's law for the DFT cell and can differ from measured ones.

Main lines, low angle first (15 to 90 degrees two-theta):
Position (°2θ), d [Å], Rel. int.
26.98, 3.305, 35
27.63, 3.228, 42
28.03, 3.183, 41
31.38, 2.850, 61
32.58, 2.749, 100
35.20, 2.550, 80
43.73, 2.070, 31
54.83, 1.674, 41

Structural model:
Lattice parameters (Å, degrees): 16.203 4.140 7.458 90.00 112.81 90.00
Space group C2/m (No. 12)
Unique sites:
La 0.039 0.000 0.254 (multiplicity 4)
La 0.218 0.500 0.671 (multiplicity 4)
As 0.000 0.500 0.500 (multiplicity 2)
Se 0.124 0.500 0.023 (multiplicity 4)
N 0.177 0.000 0.482 (multiplicity 4)


What is the formula in the second record? Pr5Nd2Y12


Which formula does entry 2 have? Pr5Nd2Y12


What is the formula in the first record? TbSm2DyEr2

----------

Record 1
Computed X-ray powder pattern
Compound: In2CuAu7
Radiation: Cu Ka
Structure: a crystal structure in Alexandria, relaxed with GGA-PBE

Crystal structure
```
data_In2CuAu7
_chemical_formula_sum 'In8 Cu4 Au28'
_symmetry_space_group_name_H-M 'F m -3 m'
_symmetry_Int_Tables_number 225
_symmetry_space_group_name_Hall '-F 4 2 3'
_cell_length_a 10.0770
_cell_length_b 10.0770
_cell_length_c 10.0770
_cell_angle_alpha 90.00
_cell_angle_beta 90.00
_cell_angle_gamma 90.00
loop_
_atom_site_label
_atom_site_type_symbol
_atom_site_fract_x
_atom_site_fract_y
_atom_site_fract_z
In1 In 0.2500 0.2500 0.2500
Cu1 Cu 0.0000 0.0000 0.0000
Au1 Au 0.0000 0.0000 0.2399
Au2 Au 0.0000 0.0000 0.5000
```

Largest 6 diffraction maxima, most intense first, 5 to 70 degrees two-theta:
(4 0 0), 2.519 Å, 35.6°, I = 100; (2 2 2), 2.909 Å, 30.7°, I = 91; (4 4 0), 1.781 Å, 51.3°, I = 70; (6 2 2), 1.519 Å, 61.0°, I = 38; (2 0 0), 5.038 Å, 17.6°, I = 36; (4 4 4), 1.454 Å, 64.0°, I = 24

=====

Record 2
Computed X-ray powder pattern
Compound: Na8B13C3
Radiation: Cu Ka
Structure: a crystal structure in Alexandria, relaxed with GGA-PBE

Crystal structure
```
data_Na8B13C3
_chemical_formula_sum 'Na8 B13 C3'
_symmetry_space_group_name_H-M 'P 3 m 1'
_symmetry_Int_Tables_number 156
_symmetry_space_group_name_Hall 'P 3 -2"'
_cell_length_a 2.9434
_cell_length_b 2.9434
_cell_length_c 34.3881
_cell_angle_alpha 90.00
=====

Response:
Diffraction record for TbSm2DyEr2. The PXRD pattern is simulated, not measured: it uses a structure optimized by DFT (GGA-PBE) and Cu Kα X-rays.
Peak positions follow from Bragg's law for the DFT cell and can differ from measured ones.

Main lines, low angle first (15 to 90 degrees two-theta):
Position (°2θ), d [Å], Rel. int.
29.11, 3.068, 100
29.96, 2.983, 77
30.39, 2.942, 86
31.42, 2.847, 41
33.02, 2.713, 37
33.99, 2.638, 66
36.02, 2.493, 42
41.31, 2.186, 67

Structural model:
Lattice parameters (Å, degrees): 6.531 17.895 3.382 90.00 90.00 90.00
Space group Pnnm (No. 58)
Unique sites:
Tb 0.000 0.000 0.000 (multiplicity 2)
Sm 0.226 0.186 0.000 (multiplicity 4)
Dy 0.000 0.500 0.000 (multiplicity 2)
Er 0.224 0.354 0.500 (multiplicity 4)


Diffraction record for Pr5Nd2Y12. The PXRD pattern is simulated, not measured: it uses a structure optimized by DFT (GGA-PBE) and Cu Kα X-rays.
Peak positions follow from Bragg's law for the DFT cell and can differ from measured ones.

Main lines, low angle first (15 to 90 degrees two-theta):
Position (°2θ), d [Å], Rel. int.
29.01, 3.078, 58
30.57, 2.925, 100
30.86, 2.898, 82
31.94, 2.802, 87
32.65, 2.743, 44
32.92, 2.721, 49
33.30, 2.690, 43
35.19, 2.550, 42

Structural model:
Lattice parameters (Å, degrees): 12.388 7.223 15.175 90.00 107.28 90.00
Space group C2/m (No. 12)
Unique sites:
Pr 0.000 0.000 0.000 (multiplicity 2)
Pr 0.096 0.500 0.095 (multiplicity 4)
Pr 0.249 0.500 0.500 (multiplicity 4)
Nd 0.000 0.250 0.500 (multiplicity 4)
Y 0.090 0.245 0.287 (multiplicity 8)
Y 0.151 0.500 0.692 (multiplicity 4)
Y 0.156 0.000 0.697 (multiplicity 4)
Y 0.171 0.261 0.891 (multiplicity 8)


Diffraction record for La4AsSe2N2. The PXRD pattern is simulated, not measured: it uses a structure optimized by DFT (GGA-PBE) and Cu Kα X-rays.
Peak positions follow from Bragg's law for the DFT cell and can differ from measured ones.

Main lines, low angle first (15 to 90 degrees two-theta):
Position (°2θ), d [Å], Rel. int.
26.98, 3.305, 35
27.63, 3.228, 42
28.03, 3.183, 41
31.38, 2.850, 61
32.58, 2.749, 100
35.20, 2.550, 80
43.73, 2.070, 31
54.83, 1.674, 41

Structural model:
Lattice parameters (Å, degrees): 16.203 4.140 7.458 90.00 112.81 90.00
Space group C2/m (No. 12)
Unique sites:
La 0.039 0.000 0.254 (multiplicity 4)
La 0.218 0.500 0.671 (multiplicity 4)
As 0.000 0.500 0.500 (multiplicity 2)
Se 0.124 0.500 0.023 (multiplicity 4)
N 0.177 0.000 0.482 (multiplicity 4)


What is the formula in the second record? Pr5Nd2Y12


Which formula does entry 2 have? Pr5Nd2Y12


What is the formula in the first record? TbSm2DyEr2

----------

Record 1
Computed X-ray powder pattern
Compound: In2CuAu7
Radiation: Cu Ka
Structure: a crystal structure in Alexandria, relaxed with GGA-PBE

Crystal structure
```
data_In2CuAu7
_chemical_formula_sum 'In8 Cu4 Au28'
_symmetry_space_group_name_H-M 'F m -3 m'
_symmetry_Int_Tables_number 225
_symmetry_space_group_name_Hall '-F 4 2 3'
_cell_length_a 10.0770
_cell_length_b 10.0770
_cell_length_c 10.0770
_cell_angle_alpha 90.00
_cell_angle_beta 90.00
_cell_angle_gamma 90.00
loop_
_atom_site_label
_atom_site_type_symbol
_atom_site_fract_x
_atom_site_fract_y
_atom_site_fract_z
In1 In 0.2500 0.2500 0.2500
Cu1 Cu 0.0000 0.0000 0.0000
Au1 Au 0.0000 0.0000 0.2399
Au2 Au 0.0000 0.0000 0.5000
```

Largest 6 diffraction maxima, most intense first, 5 to 70 degrees two-theta:
(4 0 0), 2.519 Å, 35.6°, I = 100; (2 2 2), 2.909 Å, 30.7°, I = 91; (4 4 0), 1.781 Å, 51.3°, I = 70; (6 2 2), 1.519 Å, 61.0°, I = 38; (2 0 0), 5.038 Å, 17.6°, I = 36; (4 4 4), 1.454 Å, 64.0°, I = 24

=====

Record 2
Computed X-ray powder pattern
Compound: Na8B13C3
Radiation: Cu Ka
Structure: a crystal structure in Alexandria, relaxed with GGA-PBE

Crystal structure
```
data_Na8B13C3
_chemical_formula_sum 'Na8 B13 C3'
_symmetry_space_group_name_H-M 'P 3 m 1'
_symmetry_Int_Tables_number 156
_symmetry_space_group_name_Hall 'P 3 -2"'
_cell_length_a 2.9434
_cell_length_b 2.9434
_cell_length_c 34.3881
_cell_angle_alpha 90.00